
I love breakfast food and a lot can be casseroled but I don’t see how you could make an Eggs Benedict Casserole.

I find it amusing when shows, the Mentalist for example, have it that Sacramento is a quick drive from the LA area when it’s at least a 5 hour drive.

Records of molecules that have nothing to do with the page:
<<<
Entry 1:
Density functional theory data (ωB97M-V/def2-TZVPD) for 8 unconnected molecules or ions with the total composition BrH14O7.

Calculated values
* energy above the lowest of the compared OMol25 structures with the same formula, charge and spin: 0.4667 eV
* net charge: -1
* LUMO: 0.11704 Ha
* gap between HOMO and LUMO: 9.3037 eV
* energy: -3109.22642 Eh

Structure (XYZ):
```
22
Properties=species:S:1:pos:R:3:mulliken_charge:R:1
Br -0.05 0.16 -0.79 -0.88
O -0.49 -2.76 -2.48 -0.62
H -0.43 -1.88 -2.05 0.21
H -0.58 -2.56 -3.42 0.25
O 1.13 -2.96 0.25 -0.62
H 1.05 -2.00 0.10 0.32
H 0.39 -3.33 -0.24 0.33
O 3.45 0.75 0.07 -0.59
H 4.22 0.84 -0.50 0.27
H 2.68 0.80 -0.52 0.31
O 1.38 1.03 2.30 -0.63
H 2.25 0.72 2.01 0.32
H 0.76 0.62 1.67 0.33
O 0.02 3.55 0.40 -0.63
H -0.21 3.15 1.25 0.28
H 0.33 2.80 -0.13 0.34
O -2.93 1.98 0.63 -0.63
H -2.10 1.67 0.21 0.34
H -2.64 2.42 1.43 0.29
O -2.60 -1.91 0.22 -0.59
H -3.42 -2.04 -0.27 0.29
H -2.22 -1.09 -0.15 0.29
```


Entry 2:
Density functional theory data (ωB97M-V/def2-TZVPD) for 9 unconnected molecules or ions with the total composition BrH16O8 in a non-equilibrium geometry.

Calculated values
* energy above the lowest of the compared OMol25 structures with the same formula, charge and spin: 0.7544 eV
* net charge: -1
* LUMO: 0.11664 Ha
* gap between HOMO and LUMO: 9.8236 eV
* energy: -3185.64762 Eh

Structure (XYZ):
```
25
Properties=species:S:1:pos:R:3:mulliken_charge:R:1
Br -0.96 0.27 0.28 -0.79
O -0.18 -1.08 3.37 -0.60
H -0.01 -0.24 3.74 0.28
H -0.69 -0.77 2.60 0.27
O 1.45 -0.90 -1.72 -0.48
H 2.14 -0.45 -2.11 0.24
H 0.78 -0.32 -1.37 0.30
O 1.50 -2.35 0.85 -0.56
H 0.81 -1.83 0.53 0.24
H 1.17 -2.70 1.66 0.26
O -0.88 -2.80 -0.88 -0.57
H -1.36 -2.81 -1.69 0.30
H -1.05 -1.88 -0.55 0.24
O -2.14 0.10 -3.21 -0.63
H -1.29 0.58 -3.28 0.32
H -2.25 0.03 -2.25 0.32
O 0.04 2.63 2.35 -0.61
H 0.44 2.24 3.14 0.29
H -0.32 1.87 1.85 0.20
O 2.54 0.92 0.42 -0.62
H 1.70 0.44 0.38 0.33
H 3.10 0.32 -0.04 0.32
O -1.25 3.21 -1.38 -0.61
H -1.28 2.53 -0.75 0.26
H -2.01 3.00 -1.94 0.32
```


Entry 3:
Density functional theory data (ωB97M-V/def2-TZVPD) for a molecular structure, BrH18O9 in a non-equilibrium geometry.

Calculated values
* energy above the lowest of the compared OMol25 structures with the same formula, charge and spin: 6.7956 eV
* net charge: -1
* LUMO: 0.10847 Ha
* gap between HOMO and LUMO: 9.0523 eV
* energy: -3261.87575 Eh

Structure (XYZ):
```
28
Properties=species:S:1:pos:R:3:mulliken_charge:R:1
Br 0.32 0.16 -0.17 -0.52
O -0.77 -1.09 -2.47 -0.69
H -0.01 -1.37 -2.98 0.37
H -0.40 -0.68 -1.69 0.32
O -0.28 1.73 2.10 -0.62
H 0.49 1.76 2.67 0.31
H -0.09 1.02 1.49 -0.07
O -0.53 -2.50 0.07 -0.64
H -0.66 -2.55 -0.88 0.52
H -0.39 -1.57 0.24 -0.16
O -1.40 -0.97 2.06 -0.76
H -1.33 -0.70 1.14 0.34
H -0.50 -1.10 2.34 0.75
O 0.70 -0.95 2.38 -0.60
H 1.60 -0.81 2.68 0.41
H 0.68 -0.59 1.49 0.19
O -2.50 0.60 -0.76 -0.68
H -1.80 0.06 -1.13 0.25
H -2.08 1.07 -0.04 0.34
O -0.30 2.48 -1.57 -0.73
H -0.62 3.17 -0.98 0.34
>>>

SO since Alan Tudyk is in Powerless I guess I will be watching at least one episode (one more than I was planning prior to seeing him in that promo picture). I just don’t see DC and intentional comedy working...

What a clickbait garbage article.

That’s Baron Zemo? Um, okay. I guess he’s not a completely bland looking office drone.

Wasn’t the original story just about people stuck in a grocery store trying to figure out what to do?

<<<
This record from OMol25 describes a 7-piece molecular cluster, C67H71BrIN10O20S3 overall. The level of theory is ωB97M-V with the def2-TZVPD basis set.

The calculation puts the calculated total energy at -8713.45059 hartree. The charge is +1. The LUMO energy comes out at -3.838 eV. As for the HOMO-LUMO gap: 6.731 eV.

Geometry as XYZ:
```
173
C67H71BrIN10O20S3 | OMol25 | ωB97M-V with the def2-TZVPD basis set
C 4.70 -1.86 -2.62
C 3.32 -2.47 -2.88
C 2.72 -3.01 -1.57
N 1.23 -2.94 -1.55
C 0.59 -3.89 -2.31
Br 1.53 -5.23 -3.24
C -0.76 -3.94 -2.40
O -1.35 -4.90 -3.15
C -1.55 -2.97 -1.70
C -2.94 -3.04 -1.80
C -3.72 -2.14 -1.13
S -5.45 -2.30 -1.30
C -6.13 -2.10 0.38
C -7.17 -1.01 0.37
O -7.07 0.03 0.95
O -8.23 -1.35 -0.41
C -9.51 -1.01 0.14
C -10.43 -2.20 -0.12
C -10.02 -3.45 0.62
O -11.77 -1.84 0.27
C -12.51 -1.35 -0.77
O -12.48 -0.19 -1.07
C -13.38 -2.30 -1.56
S -12.82 -4.03 -1.44
C -3.07 -1.13 -0.38
O -3.88 -0.23 0.25
N -4.55 0.74 -0.69
O -3.86 1.08 -1.54
C -1.70 -1.03 -0.25
C -1.25 0.11 0.62
C -1.21 -0.27 2.14
C -0.91 -1.73 2.51
C -2.12 -2.64 2.72
C -1.63 -3.98 3.33
C -1.56 -5.14 2.33
C -2.88 -5.50 1.68
S -3.93 -6.48 2.81
C -5.00 -5.21 3.33
N -5.61 -4.33 2.62
N -6.30 -3.52 3.52
C -6.07 -3.99 4.68
O -5.24 -5.07 4.65
C -0.88 -2.00 -0.92
C 0.54 -2.02 -0.84
C 1.36 -1.09 -0.01
C 2.08 0.05 -0.79
C 1.52 0.43 -2.17
I 0.25 2.16 -2.16
H 4.71 -1.15 -1.79
H 5.13 -1.44 -3.52
H 5.36 -2.67 -2.33
H 3.49 -3.27 -3.59
H 2.65 -1.75 -3.35
H 3.03 -4.03 -1.40
H 3.16 -2.42 -0.78
H -2.02 -4.51 -3.71
H -3.40 -3.81 -2.39
H -6.61 -3.03 0.66
H -5.38 -1.88 1.12
H -9.93 -0.14 -0.36
H -9.47 -0.80 1.20
H -10.43 -2.40 -1.19
H -8.94 -3.56 0.58
H -10.40 -3.43 1.63
H -10.44 -4.32 0.12
H -13.32 -2.00 -2.59
H -14.39 -2.19 -1.20
H -13.77 -4.63 -2.17
H -0.33 0.56 0.30
H -1.98 0.90 0.54
H -0.56 0.42 2.67
H -2.22 -0.07 2.50
H -0.38 -1.71 3.45
H -0.25 -2.24 1.81
H -2.56 -2.86 1.75
H -2.85 -2.19 3.38
H -2.21 -4.26 4.21
H -0.61 -3.82 3.67
H -0.79 -4.95 1.58
H -1.22 -6.01 2.88
H -2.71 -6.10 0.80
H -3.47 -4.64 1.38
H -6.43 -3.67 5.64
H 2.13 -1.70 0.46
H 0.85 -0.68 0.83
H 3.13 -0.17 -0.90
H 2.04 0.93 -0.17
H 1.02 -0.36 -2.71
H 2.35 0.74 -2.79
C 4.38 5.77 1.44
C 4.98 4.98 2.42
C 5.28 3.65 2.15
C 4.99 3.15 0.89
C 4.39 3.92 -0.08
C 4.07 5.23 0.20
N 5.37 1.77 0.57
O 5.90 1.11 1.43
O 5.16 1.38 -0.57
H 4.17 6.81 1.65
H 5.23 5.40 3.38
H 5.75 3.03 2.90
H 4.17 3.50 -1.06
H 3.60 5.85 -0.55
C 7.82 7.00 -4.16
C 6.73 6.63 -3.38
C 6.94 6.19 -2.08
C 8.23 6.14 -1.59
C 9.32 6.49 -2.36
C 9.11 6.93 -3.66
N 8.45 5.69 -0.21
O 7.48 5.34 0.44
O 9.59 5.68 0.21
H 7.65 7.35 -5.17
H 5.73 6.69 -3.77
H 6.10 5.90 -1.46
H 10.32 6.44 -1.96
H 9.95 7.22 -4.27
C 0.52 -4.60 8.85
C -0.60 -3.78 8.90
C -0.72 -2.71 8.03
C 0.30 -2.47 7.12
C 1.43 -3.27 7.06
C 1.53 -4.34 7.94
N 0.17 -1.35 6.19
O -0.82 -0.65 6.27
O 1.06 -1.18 5.37
H 0.61 -5.44 9.53
H -1.39 -3.98 9.61
H -1.59 -2.07 8.07
H 2.21 -3.07 6.35
H 2.41 -4.98 7.90
C 14.39 3.20 -0.08
C 14.95 3.61 -1.28
C 14.54 4.78 -1.88
C 13.56 5.54 -1.26
C 12.98 5.15 -0.07
C 13.40 3.97 0.52
>>>

Lol, if you spend $50 to go to the movies you’re doing it wrong.

So a half Asian isn’t allowed to star in a show? There is nothing about Rush Hour that says they have to hire a clone of Jackie Chan to play the role.

You don’t cast an unknown Asian actress in a big budget movie and hope people will still go see it. You cast a big name (ScarJo thanks to Marvel is just that) and build the movie around that casting.

Wait! What? Maleficent 2? Tower of Terror? Mr Toad’s Wild... What the ever-flipping heck?

I’ve been trying to figure out how I feel about Tilda Swinton as the Ancient One. Supposedly they considered Morgan Freeman & Ken Watanabe before deciding on Swinton (not sure of the veracity of that since it’s a bit of trivia on IMDB).

I had the same thought. If this movie name drops Tibet and Tibetan Buddhists it will be banned in China. And that is a market that Disney/Marvel is afraid of losing.

I honestly don’t care and never have. I’m sure some people will be over the moon about it but my geekiness doesn’t extend this far.

Looks good to meet, except Tilda Swinton, and I’m excited to see it!

Though I’ve heard a number of people say it wasn’t that good a game it doesn’t make sense that they canned it so close to release.

What more is there to say within the Terminator storyline? Where do you go at this point? They’ve tried various ideas and I don’t think Cameron can “fix” it.

At one time I was anti-spoiler but then I realized, for me, that my enjoyment of a really good movie wasn’t affected by a little fore-knowledge. It was often heightened because I knew the movie was going to be good from what I’d seen.

Overall I don’t really care if any of the network shows crossover. The filming schedule makes it difficult and would handicap the show (remember season 1 of AoS? Most would agree that it was boring).

........
Computed, not measured: a molecular structure, C27H26ClN4OsPS, with ωB97M-V/def2-TZVPD.

Computed properties:
* total charge: +2
* frontier orbital gap (spin up / spin down): 6.498 / 6.496 eV
* LUMO energy (spin up / spin down): -7.07 / -7.07 eV

XYZ file:
```
61
Properties=species:S:1:pos:R:3:forces:R:3
Os 0.213284 -0.196239 0.087367 0.97 1.95 -0.60
C -3.821140 1.193465 -0.530691 0.02 0.08 -0.17
C -2.447637 0.617061 -0.613278 -0.01 0.51 1.34
N -1.532924 0.775369 0.305956 -0.53 -0.40 -0.85
N -1.696040 1.649889 1.342252 -0.34 0.27 0.36
C -0.743583 1.756087 2.291180 1.00 -0.75 0.15
N -0.920628 2.607311 3.291072 -0.29 0.14 -0.19
S 0.659606 0.773108 2.242170 -0.04 0.54 -0.20
C -2.014857 -0.150612 -1.754870 0.28 -0.94 -1.25
C -2.807689 -0.342202 -2.887891 -0.05 0.40 0.76
C -2.291432 -0.996744 -3.984325 0.38 -0.28 -0.33
C -0.982219 -1.458970 -3.940122 -0.43 0.16 -0.10
C -0.255222 -1.274986 -2.779423 0.10 -0.09 0.14
N -0.749948 -0.655147 -1.709711 -0.13 0.17 -0.11
H -4.019856 1.708158 0.405054 -0.07 -0.04 -0.03
H -4.557783 0.393051 -0.617819 0.01 -0.01 -0.01
H -3.997754 1.893087 -1.349698 -0.01 0.02 0.02
H -2.519484 2.231389 1.365717 -0.02 -0.01 -0.07
H -1.718242 3.220678 3.354635 0.02 -0.01 0.07
H -0.174313 2.732611 3.955884 0.01 -0.01 0.03
H -3.819343 0.039391 -2.898196 0.01 -0.01 -0.06
H -2.891260 -1.138478 -4.872933 -0.02 0.01 0.02
H -0.531260 -1.943619 -4.794002 0.01 -0.06 0.04
H 0.759039 -1.641540 -2.693649 0.00 0.00 0.03
Cl 2.306807 -1.310833 -0.326341 0.47 -0.03 -0.37
C 2.438549 -2.826730 0.534018 -0.18 -0.60 0.48
C 3.657701 -3.476362 0.527801 0.13 0.16 -0.14
C 3.786472 -4.644948 1.263037 -0.04 -0.01 0.02
C 2.712225 -5.137460 1.989244 -0.02 -0.05 0.03
C 1.492465 -4.480114 1.966902 0.05 -0.04 -0.08
C 1.334876 -3.313598 1.221201 -0.02 0.34 -0.06
P -0.265243 -2.443928 1.120550 -0.26 -0.14 -0.41
C -1.100583 -2.932317 2.655129 -0.01 0.24 -0.04
C -1.950075 -4.038963 2.704081 0.10 0.06 0.08
C -2.481672 -4.441152 3.919747 -0.03 -0.03 -0.02
C -2.177105 -3.747212 5.082295 -0.02 -0.01 0.01
C -1.334191 -2.645809 5.035193 0.01 0.04 0.03
C -0.797325 -2.235845 3.825211 0.00 0.03 -0.05
C -1.185207 -3.336846 -0.169488 0.02 -0.16 0.15
C -0.591801 -4.277743 -1.004051 -0.05 0.06 0.12
C -1.359434 -4.941773 -1.953188 0.07 -0.03 -0.08
C -2.712917 -4.669845 -2.070690 -0.03 -0.01 -0.04
C -3.306320 -3.718513 -1.248145 -0.03 0.08 0.00
C -2.544437 -3.045970 -0.307785 0.12 -0.01 -0.08
H 4.498481 -3.077885 -0.024898 -0.02 0.03 0.01
H 4.736446 -5.161237 1.278385 0.00 0.01 -0.01
H 2.825198 -6.036824 2.579080 0.00 0.00 -0.02
H 0.656322 -4.873872 2.529361 -0.01 0.01 0.01
H -2.185660 -4.597980 1.810197 -0.01 -0.01 -0.03
H -3.130120 -5.306633 3.953600 -0.01 0.02 0.03
H -2.596743 -4.067470 6.026609 0.01 0.00 0.00
H -1.093628 -2.107296 5.942138 0.00 -0.01 0.00
H -0.135596 -1.378427 3.785165 -0.01 -0.04 0.05
H 0.461173 -4.509500 -0.895613 -0.03 -0.06 -0.03
H -0.894264 -5.685500 -2.587395 -0.04 0.00 -0.01
H -3.314668 -5.203165 -2.794912 0.02 -0.01 0.00
........

I am curious as to who Rey’s parents are since Kylo was able to pull an “ocean” and “island” from her mind.

Marvel still doesn’t have the rights to Spiderman, it’s still Sony. Spidey is a special guest appearance in Civil War and then Cap and/or Iron Man may be in the new Spidey movie.